Data.
=====
[1]
ORCA calculation (wB97M-V/def2-TZVPD) on a molecular structure, C41H51F9N4O8PSSr.

For the total energy, the calculation gives -111113.135 eV. As for the charge: -1. The calculation puts the HOMO energy at -6.54 eV.

Geometry (Å):
Sr1 -0.503 0.649 -0.811
C1 -3.811 -3.087 3.206
C2 -3.339 -2.750 1.789
C3 -4.313 -1.871 0.991
C4 -4.656 -0.411 1.357
C5 -5.795 -0.001 0.412
C6 -5.053 -0.194 2.814
N1 -3.456 0.479 1.061
C7 -3.747 1.937 1.173
C8 -2.749 2.861 0.488
N2 -1.349 2.762 0.900
C9 -0.487 3.469 -0.066
C10 1.001 2.990 -0.024
O1 1.831 3.735 -0.537
O2 1.182 1.843 0.491
C11 -1.018 3.280 2.255
C12 -1.641 4.659 2.525
C13 -1.359 2.379 3.453
C14 -0.509 1.134 3.754
C15 0.967 1.508 3.931
C16 -1.068 0.548 5.055
N3 -0.704 0.165 2.661
C17 -0.071 -1.153 2.848
C18 -1.124 -2.259 2.847
N4 -1.939 -2.284 1.638
C19 -1.320 -3.094 0.578
C20 0.115 -2.721 0.178
O3 0.970 -3.608 0.169
O4 0.296 -1.505 -0.146
H1 -4.840 -3.447 3.151
H2 -3.792 -2.256 3.905
H3 -3.204 -3.888 3.627
H4 -3.407 -3.717 1.271
H5 -5.273 -2.396 0.992
H6 -3.976 -1.854 -0.049
H7 -6.538 -0.797 0.381
H8 -5.420 0.160 -0.602
H9 -6.310 0.899 0.749
H10 -5.777 -0.948 3.119
H11 -5.519 0.783 2.949
H12 -4.190 -0.258 3.478
H13 -3.161 0.223 0.064
H14 -2.658 0.211 1.674
H15 -3.879 2.168 2.227
H16 -4.692 2.114 0.668
H17 -3.149 3.878 0.609
H18 -2.806 2.642 -0.584
H19 -0.474 4.552 0.090
H20 -0.893 3.329 -1.073
H21 0.066 3.397 2.243
H22 -2.703 4.576 2.768
H23 -1.539 5.335 1.677
H24 -1.148 5.123 3.379
H25 -2.402 2.063 3.418
H26 -1.282 3.024 4.333
H27 1.079 2.322 4.651
H28 1.402 1.812 2.977
H29 1.540 0.657 4.303
H30 -1.054 1.302 5.843
H31 -0.487 -0.303 5.407
H32 -2.102 0.222 4.911
H33 -0.262 0.587 1.851
H34 0.448 -1.205 3.809
H35 0.682 -1.317 2.083
H36 -1.763 -2.056 3.704
H37 -0.631 -3.229 3.027
H38 -1.923 -2.975 -0.327
H39 -1.320 -4.155 0.868
O5 -4.242 1.235 -2.223
S1 -3.004 0.530 -2.558
O6 -3.047 -0.281 -3.751
O7 -1.859 1.515 -2.614
O8 -2.656 -0.357 -1.350
F1 4.446 4.197 -7.037
C21 5.078 3.066 -6.686
F2 5.167 2.307 -7.801
F3 6.344 3.407 -6.366
C22 4.394 2.334 -5.570
C23 5.011 1.198 -5.052
C24 4.397 0.495 -4.037
C25 3.165 0.914 -3.529
C26 2.568 2.055 -4.046
C27 3.179 2.766 -5.072
P1 2.276 -0.005 -2.222
C28 2.020 -1.630 -3.017
C29 2.954 -2.663 -3.038
C30 2.661 -3.856 -3.670
C31 1.429 -4.023 -4.294
C32 0.489 -3.006 -4.278
C33 0.785 -1.815 -3.633
C34 1.128 -5.336 -4.948
F4 2.145 -5.751 -5.737
F5 0.031 -5.298 -5.721
F6 0.933 -6.319 -4.044
C35 3.535 -0.269 -0.942
C36 3.532 -1.448 -0.189
C37 4.388 -1.573 0.889
C38 5.238 -0.525 1.229
C39 5.230 0.652 0.501
C40 4.376 0.778 -0.583
C41 6.135 -0.686 2.416
F7 7.002 0.333 2.564
F8 5.439 -0.769 3.572
F9 6.875 -1.815 2.347
H40 5.965 0.872 -5.446
H41 4.872 -0.389 -3.629
H42 1.622 2.401 -3.647
H43 2.707 3.653 -5.471
H44 3.907 -2.546 -2.537
H45 3.384 -4.661 -3.675
H46 -0.474 -3.135 -4.751
H47 0.031 -1.034 -3.622
H48 2.847 -2.257 -0.415
H49 4.384 -2.486 1.471
H50 5.875 1.473 0.782
H51 4.343 1.714 -1.127

***

[2]
ORCA calculation (wB97M-V/def2-TZVPD) on a molecular structure, C21H28BBr54O2PS in a non-equilibrium geometry.

For the total energy, the calculation gives -3829414.805 eV. As for the charge: 0. The value obtained for the energy relative to the best compared isomer or geometry (same formula, charge and spin) is 0.000 eV. The calculation puts the HOMO energy at -8.14 eV.

Geometry (Å):
C1 10.319 -0.473 -1.878
P1 8.992 -1.399 -2.734
O1 8.657 -2.627 -1.662
B1 7.474 -0.294 -2.859
S1 7.769 1.514 -3.183
C2 6.004 -0.808 -2.703
C3 5.395 -0.025 -1.559
O2 4.067 -0.490 -1.323
H1 10.254 -0.674 -0.815
H2 10.254 0.597 -2.015
H3 11.270 -0.804 -2.271
H4 8.175 -3.312 -2.149
H5 8.318 1.848 -2.008
H6 5.411 -0.663 -3.606
H7 5.992 -1.871 -2.478
H8 6.013 -0.208 -0.678
H9 5.394 1.036 -1.771
H10 3.720 0.142 -0.678
C4 3.784 4.216 -0.828
Br1 4.290 3.054 0.624
Br2 5.320 4.866 -1.796
Br3 2.472 3.388 -1.967
H11 3.309 5.082 -0.391
C5 -1.048 1.381 -1.171
Br4 -1.448 2.738 -2.482
Br5 -2.474 0.107 -0.977
Br6 0.619 0.495 -1.515
H12 -0.950 1.883 -0.221
C6 -4.399 4.322 0.052
Br7 -4.695 6.027 0.899
=====

To do.
Could you echo every line further above that contains the word "best"?

Done.
For the total energy, the calculation gives -3829414.805 eV. As for the charge: 0. The value obtained for the energy relative to the best compared isomer or geometry (same formula, charge and spin) is 0.000 eV. The calculation puts the HOMO energy at -8.14 eV.